It’s pathetic. So parts of the country where constituents voted to remain should also be entitled to a vote of independence? Don’t really like to talk politics on here but I can’t stand Ian Blackford.
Why does everyone on here quote the Daily Mail every time someone has a different point of view? I've never read the Daily Mail in my life and have been a Labour voter all my life so don't tar everyone with the same brush. The Greek government wanted to come out of austerity imposed by the EU but were prevented from doing so by Merkel. If you're currently in Greece ask them what they think of the EU and Germany's influence. I have relatives in Greece and know exactly what they think of the interference from the EU. Have you forgotten the riots in the streets?
They've spent the last 40 years being told that independence and the EU are incompatible - it's not their fault they're ignorant of the facts.
They're both Unions - one with 4 countries, the other with 28. They are currently members of both unions.
The parts of the country you talk of is infact a country its self. So why should it not be an independent country?
My apologies, I just assumed from the sound bites, half truths and missing facts that your information had come from the daily mail rather than research and knowledge.....
== Records of crystals that have nothing to do with the text ==
+++
(1)
# PBE-GGA NaAcNd2, optimized geometry
# Uncorrected energy   -0.2594 Ry/atom
# D(E_F)   1.545 states/eV/atom
# Calculated density   6.0 g/cm³
# Total magnetization   0.00 μB/cell
data_NaAcNd2
_symmetry_space_group_name_H-M 'P 4/m m m'
_symmetry_Int_Tables_number 123
_symmetry_space_group_name_Hall '-P 4 2'
_cell_length_a 6.187
_cell_length_b 6.187
_cell_length_c 3.882
_cell_angle_alpha 90.00
_cell_angle_beta 90.00
_cell_angle_gamma 90.00
loop_
_atom_site_label
_atom_site_type_symbol
_atom_site_fract_x
_atom_site_fract_y
_atom_site_fract_z
_atom_site_occupancy
Na1 Na 0.000 0.000 0.000 1
Ac1 Ac 0.500 0.500 0.000 1
Nd1 Nd 0.000 0.500 0.500 1



(2)
# PBE-GGA NaAc2Nd, optimized geometry
# Uncorrected energy   -0.2528 Ry/atom
# D(E_F)   1.027 states/eV/atom
# Calculated density   6.0 g/cm³
# Total magnetization   0.00 μB/cell
data_NaAc2Nd
_symmetry_space_group_name_H-M 'R -3 m'
_symmetry_Int_Tables_number 166
_symmetry_space_group_name_Hall '-R 3 2"'
_cell_length_a 3.8402
_cell_length_b 3.8402
_cell_length_c 40.5496
_cell_angle_alpha 90.00
_cell_angle_beta 90.00
_cell_angle_gamma 120.00
loop_
_atom_site_label
_atom_site_type_symbol
_atom_site_fract_x
_atom_site_fract_y
_atom_site_fract_z
_atom_site_occupancy
Na1 Na 0.0000 0.0000 0.0000 1
Ac1 Ac 0.0000 0.0000 0.0915 1
Nd1 Nd 0.0000 0.0000 0.5000 1


No. 1
Compound: Li2Co3NiO8
Source: Alexandria
Functional: PBE+U
Structure: relaxed

```
data_Li2Co3NiO8
_chemical_formula_sum 'Li2 Co3 Ni1 O8'
_cell_length_a 5.660
_cell_length_b 5.745
_cell_length_c 5.932
_cell_angle_alpha 61.04
_cell_angle_beta 89.55
_cell_angle_gamma 120.50
_symmetry_space_group_name_H-M 'P 1'
_symmetry_Int_Tables_number 1
loop_
_symmetry_equiv_pos_as_xyz
'x,y,z'
loop_
_atom_site_label
_atom_site_type_symbol
_atom_site_fract_x
_atom_site_fract_y
_atom_site_fract_z
O1 O 0.270 0.535 0.200
O2 O 0.269 0.037 0.195
O3 O 0.745 0.029 0.210
O4 O 0.745 0.507 0.210
O5 O 0.255 0.493 0.790
O6 O 0.731 0.963 0.805
O7 O 0.255 0.971 0.790
O8 O 0.730 0.465 0.800
Ni1 Ni 0.000 0.000 0.000
Co1 Co 0.000 0.500 0.000
Co2 Co 0.500 0.000 0.000
Co3 Co 0.500 0.500 0.000
Li1 Li 0.500 0.500 0.500
Li2 Li 0.500 0.000 0.500
```

E above lowest polymorph: 0.38 eV per formula unit
Fermi-level density of states: 1.021 states/eV per cell


No. 2
Compound: Li5Co3Ni2O10
Source: Alexandria
Functional: PBE+U
Structure: relaxed

```
data_Li5Co3Ni2O10
_chemical_formula_sum 'Li10 Co6 Ni4 O20'
_cell_length_a 4.965
_cell_length_b 10.112
_cell_length_c 7.616
_cell_angle_alpha 107.60
_cell_angle_beta 103.89
_cell_angle_gamma 99.56
_symmetry_space_group_name_H-M 'P 1'
_symmetry_Int_Tables_number 1
loop_
_symmetry_equiv_pos_as_xyz
'x,y,z'
loop_
_atom_site_label
_atom_site_type_symbol
_atom_site_fract_x
_atom_site_fract_y
_atom_site_fract_z
O1 O 0.965 0.443 0.131
O2 O 0.223 0.727 0.228
O3 O 0.352 0.365 0.944
O4 O 0.777 0.773 0.772
O5 O 0.352 0.865 0.944
O6 O 0.133 0.153 0.540
O7 O 0.648 0.635 0.056
O8 O 0.648 0.135 0.056
O9 O 0.556 0.050 0.332
O10 O 0.445 0.950 0.668
+++
One of those unions gives them clear benefits - the other imposes Tory austerity to a country where the vast majority of constituencies return a left of centre MP, MSP, MEP
They’ll never make the budgetary requirements to join, Germany don’t want another Greece. Jimmy Kranky runs a massive deficit, which precludes membership of the Euro which is as prerequisite to join the EU. The Scottish government would need to enact a massive austerity program. I’m sure she’s well aware of this, hoping that somehow the EU will look the other way.
Curious how patronising mocking names are attached to a female leader of a country with a certain valid view with a considerable majority of electoral support.... yet Boris, and man of the people Nigel, are lauded over despite their failures and lack of election wins. Curious.
Don’t like Nicole sturgeon at all. She’s very patronising and her love affair with the eu is absolutely cringe. I do understand there want for independence and they should have a right to have to them wanting to stay in the eu? Ask the Irish. They are starting to moan now about it all. Michael Collins from the Roi he didn’t fought the tans for nothing. He and the rest wanted an independent Ireland. He would of never let them into the eu.
Some questions Ian. If Brexit happens then Scotland along with the rest of the UK will be out of the EU. Sometime later an Independence Referendum is held in Scotland and the majority vote to leave and Scotland is then no longer part of the UK Do Scotland's people then have a referendum to see if they want to be part of the EU? Does Scotland then have to apply to the EU for membership?
It’s not my job to answer for Ian .....but I will. Question 1. That’s a decision for the Scottish Parliament. Question 2. Yes. What is it with the English and their chips on the shoulder about Scotland? Scottish independence isn’t an anti English thing. It’s just a recognition (after many years) that the values and ethics in England are now very different to those in Scotland. Essentially those Scottish values are around community, the common good, and society being governed for the benefit of all. They are no longer English values but I thought many from Barnsley still held them and so, would understand them. The really exciting thing about the Scottish independence movement is how youthful it is. People not brought up on all that ‘Auld enemy’ ******** who just want to carve their own identity. It’s a very positive vibrant movement. And many think it fits into the European family model. I think it’s also good news, long term, for the North of England. Goodness, there’s even a chance the People of the North of England might get off their knees and ask (doffing their caps as they do so - no doubt) for greater control over THEIR lives from the South East of England. Her’s hoping.